Buenos Aires connection between exiles. The artistic cooperation and the ideological complicity between Virgilio Piñera and Witold Gombrowicz in the years of common Argentine exile



The aim of our essay is to put in relation several short stories of the Cuban narrator Virgilio Piñera and the novel Ferdydurke, which was translated by Witold Gombrowicz –starting from the original in Polish– during the years of his stay in Argentina. The common labor of translation in the lounges of the Rex restaurant consolidates an intellectual relation that is evident in the thematic units analyzed in this work. We will see how the problem of the Form (which Gombrowicz raises openly in his text and which Piñera will reelaborate in his way), is structured in a double slope, common to both narrators: on one hand, the Cuban writer creates a discursive modality based on a crusade that celebrates the sense of humor in opposition to the excesses of a writing replete with metaphors and adornments; on the other hand, the Polish writer elaborates a censorship towards the false exterior maturity of the human beings. In relation with the religious position, the fictional figures of Piñera are human beings alone in the universe, obliged to resist the reality in which the gods have died. What they still have is only their body so the adoration of the spirit is substituted by the adoration of the meat. In the same way, the characters of Ferdydurke live without ideal, nor gods, adapting immature myths to intimate reality of the man. Finally, regarding the humor, we will
emphasize how Piñera's stories are characterized by the choteo, and a sort of black, absurd humor, whichtakes the features of “bloody” disguised elements. We will analyze, especially, the tales “La carne” and “Il gran baro”, and we will put both stories in relation with Ferdydurke, where we can see a more surreal humor, linked with the search of the Immaturity and constructed in a grotesque shape.

Author Biography

Giuseppe Gatti, Universidad La Sapienza de Roma

Giuseppe Gatti es doctor en Filología Hispánica e Hispanoamericana en la Universidad de Salamanca, donde además ha cursado el Programa de Estudios Integrados (PEI) en Literatura y Cultura Españolas. Desempeñó su labor como tutor de la Cátedra de Lengua Española I en la Università Telematica Internazionale UniNettuno de Roma, en la Facultad de Ciencias de la Comunicación. Actualmente está adscripto a la Cátedra de Literaturas Hispanoamericanas en la Universidad La Sapienza, Roma, en la Facultad de “Filosofía, Letras, Ciencias Humanas y Estudios Orientales”. Ha recibido dos becas del Vicerrectorado de Docencia y Convergencia Europea de la Universidad de Salamanca relativas al periodo de investigación (2006-2007 y 2007-2008) y la Beca Séneca-Ayuda para la Movilidad de estudiantes de doctorado con Mención de Calidad (Madrid, 2008). Ha publicado más de veinte trabajos académicos sobre literatura uruguaya, chilena y argentina del siglo XX en Italia, Colombia, Estados Unidos, España, Portugal, Francia, Serbia, Eslovenia, Hungría, Venezuela y Rumania. Es autor del ensayo Sociedad, escritura, memoria: idiosincrasias
uruguayas en la narrativa contemporánea. Seis ensayos sobre el espacio cultural “oriental” (2011, segunda edición: 2013).



Materials data that have nothing to do with the entry:
<<<
No. 1
For Pm7NdTm2, a DFT-relaxed cell (GGA-PBE, Alexandria) gives the calculated powder XRD pattern in this record (Cu Ka).

The 6 most intense peaks (2θ = 15–90°), sorted by position:
| 2θ/deg | d [Å] | I (rel.) |
| --- | --- | --- |
| 15.42 | 5.747 | 62 |
| 29.95 | 2.983 | 70 |
| 31.12 | 2.874 | 66 |
| 33.53 | 2.673 | 100 |
| 34.41 | 2.607 | 74 |
| 43.74 | 2.070 | 55 |

Atomic structure:
a b c (Å): 9.1785 9.1785 5.7474
angles (deg): 90.00 90.00 121.80
Atoms (fractional coordinates):
Pm 0.0000 0.0000 0.0000
Pm 0.2039 0.4374 0.0000
Pm 0.2714 0.7286 0.5000
Pm 0.4374 0.2039 0.0000
Pm 0.5626 0.7961 0.0000
Pm 0.7286 0.2714 0.5000
Pm 0.7961 0.5626 0.0000
Nd 0.5000 0.5000 0.5000
Tm 0.2043 0.7957 0.0000
Tm 0.7957 0.2043 0.0000

---

No. 2
For Pm7Nd3Tm, a DFT-relaxed cell (GGA-PBE, Alexandria) gives the calculated powder XRD pattern in this record (Cu Ka).

The 6 most intense peaks (2θ = 15–90°), sorted by position:
| 2θ/deg | d [Å] | I (rel.) |
| --- | --- | --- |
| 28.57 | 3.124 | 44 |
| 30.86 | 2.897 | 73 |
| 31.48 | 2.842 | 46 |
| 31.61 | 2.830 | 100 |
| 33.12 | 2.705 | 85 |
| 33.51 | 2.674 | 38 |

Atomic structure:
a b c (Å): 10.2674 10.2674 12.5545
angles (deg): 113.37 113.37 41.58
Atoms (fractional coordinates):
Pm 0.0791 0.5835 0.9668
Pm 0.0839 0.5796 0.4690
Pm 0.2443 0.7557 0.7500
Pm 0.3351 0.3370 0.7228
Pm 0.3370 0.3351 0.2228
Pm 0.4165 0.9209 0.5332
Pm 0.4204 0.9161 0.0310
Pm 0.5796 0.0839 0.9690
Pm 0.5835 0.0791 0.4668
Pm 0.6630 0.6649 0.7772
Pm 0.6649 0.6630 0.2772
Pm 0.7557 0.2443 0.2500
Pm 0.9161 0.4204 0.5310
Pm 0.9209 0.4165 0.0332
Nd 0.1551 0.1688 0.7759
Nd 0.1688 0.1551 0.2759
Nd 0.5000 0.5000 0.0000
Nd 0.5000 0.5000 0.5000
Nd 0.8312 0.8449 0.7241
Nd 0.8449 0.8312 0.2241
Tm 0.0000 0.0000 0.0000
Tm 0.0000 0.0000 0.5000

---

No. 3
For PmNd14Tm, a DFT-relaxed cell (GGA-PBE, Alexandria) gives the calculated powder XRD pattern in this record (Cu Ka).

The 6 most intense peaks (2θ = 15–90°), sorted by position:
| 2θ/deg | d [Å] | I (rel.) |
| --- | --- | --- |
| 29.85 | 2.994 | 100 |
| 34.60 | 2.592 | 51 |
| 49.74 | 1.833 | 36 |
| 59.09 | 1.563 | 43 |
| 80.80 | 1.189 | 18 |
| 83.36 | 1.159 | 16 |

Atomic structure:
a b c (Å): 7.3326 7.3326 10.3697
angles (deg): 90.00 90.00 90.00
Atoms (fractional coordinates):
Pm 0.0000 0.0000 0.0000
Nd 0.0000 0.0000 0.5000
Nd 0.0000 0.5000 0.0000
Nd 0.0000 0.5000 0.5000
Nd 0.2512 0.2512 0.2482
Nd 0.2512 0.2512 0.7518
Nd 0.2512 0.7488 0.2482
Nd 0.2512 0.7488 0.7518
Nd 0.5000 0.0000 0.0000
Nd 0.5000 0.0000 0.5000
Nd 0.5000 0.5000 0.5000
Nd 0.7488 0.2512 0.2482
Nd 0.7488 0.2512 0.7518
Nd 0.7488 0.7488 0.2482
Nd 0.7488 0.7488 0.7518
Tm 0.5000 0.5000 0.0000

---

No. 4
For Pm3Nd5Tm2, a DFT-relaxed cell (GGA-PBE, Alexandria) gives the calculated powder XRD pattern in this record (Cu Ka).

The 6 most intense peaks (2θ = 15–90°), sorted by position:
| 2θ/deg | d [Å] | I (rel.) |
| --- | --- | --- |
| 29.27 | 3.052 | 96 |
| 30.90 | 2.894 | 100 |
| 33.06 | 2.709 | 46 |
| 48.66 | 1.871 | 32 |
| 60.10 | 1.540 | 34 |
>>>

